Last Update: May 10, 2022
The class should be partitioned into teams with optimal size of 3, but groups of size 1,2, and 4 are also OK. Each team will have a leader. You are welcome to volunteer to be a leader, first-come first-serve. Otherwise I will pick a leader at random.
Students should pick a project no later then 10:00 pm, April 10, 2022 (it should be included in the homework due that day). But the membeship is first-come-first-serve, so you are welcome to email me as soon as you decide, in order to guarantee a place.
The team leader will be in charge of coordinating the various contributions, and writing up (with the team's help) the first draft of a paper that will be definitely posted here. The first, preliminary, "skeleton" versions should be ready by
8:00pm, May 9, 2022, emailed to
but it is hoped that they will be expanded into publishable papers (at least in, and possibly in a a "real" journal). Each paper should be accompanied by at least one Maple package, and a write-up in .pdf .
See the projects from Spring 2021, projects from Spring 2020, and example from 2019. Here is another example (of a different kind). See also an example from 2018 and another example from 2018.
Team leader (and only member): Yuxuan Yang
Implement (correctly!) the clever construction of Jerrold Tunnell's brilliant academic son Sasa Radomirovic.
HERE IS the Maple Code.
Team leader: George Spahn
Team members: George Tsoukalas
Systematically experiment with Shapley value and Shapley-Shubik index for both artificial and "real-life" situations. In particular write a Maple implementation of the article On Banzhaf and Shapley-Shubik Fixed Points and Divisor Voting Systems by Alex Arnell, Richard Chen, Evelyn Choi, Miroslav Marinov, Nastia Polina, Aaryan Prakash, and test their conjectures, and who knows? even prove them!
HERE ARE the Maple Code and article
Team leader: AJ Bu
Team members: Kayla Gibson, Lucy Martinez, Natasha Ter-Saakov
_Here the piece breaks off for calculated crystals_
-- begin --
1.
Compound: LiMg
Source: the Materials Project
Functional: meta-GGA r2SCAN
Structure: relaxed

abc: 3.1362 3.1362 10.1172
angles: 90.00 90.00 120.00
Space group P-3m1 (No. 164)
Unique sites:
Li (0.3333, 0.6667, 0.3756) (multiplicity 2)
Mg (0.3333, 0.6667, 0.8708) (multiplicity 2)

Output
- Formation energy from the elements: -0.009 eV per atom
- Total magnetization: 0.000 μB per cell

---

2.
Compound: Li3Mg
Source: the Materials Project
Functional: meta-GGA r2SCAN
Structure: relaxed

abc: 4.303 4.303 4.303
angles: 90.00 90.00 90.00
Space group Pm-3m (No. 221)
Unique sites:
Li (0.000, 0.000, 0.500) (multiplicity 3)
Mg (0.500, 0.500, 0.500) (multiplicity 1)

Output
- Formation energy from the elements: -0.011 eV per atom
- Total magnetization: 0.011 μB per cell

---

3.
Compound: Li3Mg
Source: the Materials Project
Functional: meta-GGA r2SCAN
Structure: relaxed

abc: 6.0910 6.0910 5.0115
angles: 90.00 90.00 120.00
Space group P6_3/mmc (No. 194)
Unique sites:
Li (0.1668, 0.3336, 0.2500) (multiplicity 6)
Mg (0.3333, 0.6667, 0.7500) (multiplicity 2)

Output
- Formation energy from the elements: -0.016 eV per atom
- Total magnetization: 0.537 μB per cell

---

4.
Compound: LiMg
Source: the Materials Project
Functional: meta-GGA r2SCAN
Structure: relaxed

abc: 5.051 3.145 15.936
angles: 90.00 90.00 90.00
Space group Amm2 (No. 38)
Unique sites:
Li (0.000, 0.000, 0.000) (multiplicity 2)
Li (0.000, 0.000, 0.335) (multiplicity 2)
Li (0.500, 0.000, 0.554) (multiplicity 2)
Mg (0.000, 0.000, 0.666) (multiplicity 2)
Mg (0.500, 0.000, 0.221) (multiplicity 2)
Mg (0.500, 0.000, 0.890) (multiplicity 2)

Output
- Formation energy from the elements: -0.022 eV per atom
- Total magnetization: 0.000 μB per cell

---

5.
Compound: LiMg
Source: the Materials Project
Functional: meta-GGA r2SCAN
Structure: relaxed

abc: 5.018 9.279 5.387
angles: 90.00 90.00 90.00
Space group Amm2 (No. 38)
Unique sites:
Li (0.000, 0.000, 0.000) (multiplicity 2)
Li (0.500, 0.167, 0.167) (multiplicity 4)
Mg (0.000, 0.169, 0.496) (multiplicity 4)
Mg (0.500, 0.000, 0.672) (multiplicity 2)

Output
- Formation energy from the elements: -0.028 eV per atom
- Total magnetization: 0.000 μB per cell

---

6.
Compound: LiMg
Source: the Materials Project
Functional: meta-GGA r2SCAN
Structure: relaxed

abc: 3.1359 3.1359 15.1983
angles: 90.00 90.00 120.00
Space group P-6m2 (No. 187)
Unique sites:
Li (0.0000, 0.0000, 0.0000) (multiplicity 1)
Li (0.3333, 0.6667, 0.1660) (multiplicity 2)
Mg (0.0000, 0.0000, 0.3293) (multiplicity 2)
Mg (0.3333, 0.6667, 0.5000) (multiplicity 1)

Output
- Formation energy from the elements: -0.008 eV per atom
- Total magnetization: 0.007 μB per cell

---

7.
Compound: Li3Mg
Source: the Materials Project
Functional: meta-GGA r2SCAN
Structure: relaxed

abc: 6.858 6.858 6.858
angles: 90.00 90.00 90.00
Space group Fm-3m (No. 225)
Unique sites:
Li (0.000, 0.000, 0.000) (multiplicity 4)
Li (0.250, 0.250, 0.250) (multiplicity 8)
Mg (0.000, 0.000, 0.500) (multiplicity 4)

Output
-- stop --
Systematically explore the famous Gale-Shapley algorithm, nicely described in Chapter 10 of Notes on Introductory Combinatorics by Polya, Tarjan, and Wood.
In particular, investigate the quantities: "Average happiness" of men, "Average happiness of women", for each of the n!^(2*n) possible
choices, and by simulation, and who knows, "analytically", estimate, and find formulas for the expectation, variance, and higher moments
of these quantities.
HERE ARE the Maple Code and article
Team leader: Robert Dougherty-Bliss
Team members: Rebecca Embar
Continue and expand on the preliminary study done in this gem. Possibly using the Maple package LinDiopantus.txt investigate other scenarios, e.g. the probability of there being a clear-cut first-place winner, using majority rule, generalized cut-offs. Also find bijective proofs suggested by the explicit generating functions.
[Added April 11, 2022: Rebecca Embar found the brilliant bijection! It would be the subject of a great paper (coauthored with Dr. Z.)]
Also, by simulation study more than three candidates, and the scenarios: "Clear-cut full ranking", "Clear-cut choice of first-place", "Clear-cut choice of first and second-place" etc. See the input file and the corresponding output file.
[Added April 11, 2022: Possibly a more promising approach is to extend Rebecca Embar's nice bijection to more than three candidates]
HERE IS the article and Maple code
Team leader: Blair Seidler
Team members: Vikrant Ashvinkumar and Daniela Elizondo
Study the amazing Braess paradox, described nicely here p. 889 of pdf (p. 866 of book) in Frank Kelly's wonderful essay. Expand the preliminary work in the Maple package Braess.txt and try to solve the challenge problem (nicely written up by Emily Sergel) raised in Dr. Z.'s lecture.
HERE ARE the Maple Code and article
No takers. Postponed to the future.
Write a Maple package, and use it systematically where there are 2 or more players, but with a large class of pay-off functions, not only the original ones. Write Maple code to find the Nash equilibria, or the sequential version, as well as the "social optimum" and investigate how often the Nash or sequential outcomes are less from the social optimum, and by how much. Also make concrete the very abstract discussion in section 2.1C of Gibbons' book and draw nice pictures for arbitrary U(w,L) and R(L) (satisfying the convexity assumptions)
No takers. Postponed to the future.
• Between two parts of the piece: crystal structures:
- - -
[1]
r²SCAN In5Pt11, optimized geometry; calculated density = 17.0 Mg/m³; size of the total moment = 0.0000 μB per atom; energy relative to the elements = -0.48 eV per atom; V = 16.58 Å³/atom
1.0
4.081 0.000 0.000
0.000 5.699 -0.024
0.000 0.446 11.405
In Pt
5 11
Direct
0.500 0.756 0.374
0.500 0.714 0.861
0.500 0.286 0.139
0.500 0.244 0.626
0.000 0.000 0.000
0.000 0.015 0.248
0.000 0.985 0.752
0.000 0.500 0.000
0.000 0.500 0.500
0.000 0.518 0.253
0.000 0.482 0.747
0.500 0.251 0.380
0.500 0.226 0.882
0.500 0.774 0.118
0.500 0.749 0.620
0.000 0.000 0.500


[2]
r²SCAN InPt2, optimized geometry; calculated density = 16.7 Mg/m³; size of the total moment = 0.0000 μB per atom; energy relative to the elements = -0.49 eV per atom; V = 16.70 Å³/atom
1.0
4.109 0.000 0.000
0.000 5.703 -0.018
0.000 0.861 17.104
In Pt
8 16
Direct
0.500 0.708 0.238
0.500 0.726 0.575
0.500 0.759 0.916
0.500 0.241 0.084
0.500 0.274 0.425
0.500 0.292 0.762
0.000 0.991 0.331
0.000 0.009 0.669
0.000 0.981 0.168
0.000 0.000 0.500
0.000 0.019 0.832
0.000 0.500 0.000
0.000 0.491 0.333
0.000 0.509 0.667
0.000 0.477 0.165
0.000 0.500 0.500
0.000 0.523 0.835
0.500 0.221 0.255
0.500 0.232 0.591
0.500 0.255 0.921
0.500 0.745 0.079
0.500 0.768 0.409
0.500 0.779 0.745
0.000 0.000 0.000


[3]
r²SCAN In2Pt3, optimized geometry; calculated density = 14.3 Mg/m³; size of the total moment = 0.0000 μB per atom; energy relative to the elements = -0.58 eV per atom; V = 18.93 Å³/atom
1.0
-2.716 -4.833 -0.910
2.214 1.070 5.051
-11.876 5.930 3.949
In Pt
8 12
Direct
0.000 0.000 0.250
0.000 0.000 0.750
0.333 0.667 0.250
0.667 0.333 0.750
0.333 0.667 0.918
0.333 0.667 0.582
0.667 0.333 0.082
0.667 0.333 0.418
0.166 0.332 0.091
0.668 0.834 0.091
0.166 0.834 0.091
0.668 0.834 0.409
0.166 0.332 0.409
0.166 0.834 0.409
0.834 0.668 0.909
0.332 0.166 0.909
0.834 0.166 0.909
0.332 0.166 0.591
0.834 0.668 0.591
0.834 0.166 0.591


[4]
r²SCAN In3Pt4, optimized geometry; calculated density = 14.6 Mg/m³; size of the total moment = 0.0000 μB per atom; energy relative to the elements = -0.54 eV per atom; V = 18.27 Å³/atom
1.0
-1.112 5.631 -4.272
-0.991 -5.594 -4.364
-6.411 -0.139 6.169
In Pt
9 12
Direct
0.501 0.736 0.669
0.943 0.182 0.690
0.479 0.251 0.306
0.064 0.822 0.308
0.438 0.683 0.188
0.539 0.295 0.833
0.966 0.196 0.138
0.060 0.824 0.883
0.995 0.494 0.502
0.729 0.454 0.182
0.291 0.553 0.834
0.750 0.759 0.997
0.250 0.248 0.998
0.506 0.001 0.998
0.000 0.504 0.002
0.245 0.262 0.498
0.759 0.755 0.497
0.498 0.001 0.495
0.786 0.043 0.329
0.713 0.464 0.657
0.209 0.928 0.658


[5]
r²SCAN ScInPt, optimized geometry; calculated density = 10.1 Mg/m³; size of the total moment = 0.0000 μB per atom; energy relative to the elements = -1.02 eV per atom; V = 19.46 Å³/atom
1.0
0.550 7.392 1.682
-2.428 -4.923 5.257
3.298 -0.488 1.066
Sc In Pt
3 3 3
Direct
0.602 0.000 0.000
0.398 0.398 0.000
0.000 0.602 0.000
0.726 0.726 0.500
0.000 0.274 0.500
0.274 0.000 0.500
0.667 0.333 0.500
0.000 0.000 0.000
0.333 0.667 0.500


[6]
- - -
For arbitrary game-graphs (inspired by the centipede game (See also here), find how often the "backwards induction" argument is sub-optimal, and systematically find ways to "prune" the game-graph to make it better for everyone.